Is the Earth Young?

A Response to the Helium Argument

3. The atmosphere has less than 40,000 years worth of helium, based on just the production of helium from the decay of uranium and thorium. There is no known means by which large amounts of helium can escape from the atmosphere. The atmosphere appears to be young. a) Melvin A. Cook, Prehistory and Earth Models (London: Max Parrish, 1966), pp. 10-14.

Cook, as it turns out, was wrong. There are two basic mechanisms for getting helium out of the earth's atmosphere, thermal escape (which Cook must have known about) and ionic escape (which Cook either did not know about or underestimated).

**Between two parts of the text: quantum chemistry results**
........
71
Properties=species:S:1:pos:R:3 method="wB97M-V/def2-TZVPD" homo_lumo_gap_ev="5.210 / 6.761" energy_ev=-88498.56189 e_above_lowest_kcal_mol=15.62 lumo_energy_ev="-10.609 / -9.070" multiplicity=1 charge=+3 e_homo_ev="-15.819 / -15.831"
Lu -1.93 1.10 -0.55
P -2.61 -1.48 -0.20
P 2.86 -0.14 1.90
P 1.26 -2.58 -1.38
H -2.99 3.48 -1.24
C -2.73 2.62 -1.85
C -3.54 1.46 -1.90
H -4.43 1.37 -1.24
C -4.21 -1.32 0.68
C -1.51 -2.35 0.99
C -2.95 -2.73 -1.46
C 4.24 0.73 2.61
C 1.29 0.41 2.58
C 3.03 -1.91 2.13
C 0.61 -2.58 -3.10
C 1.73 -4.36 -1.24
C 2.97 -1.98 -1.76
H -1.99 2.84 -2.64
H -3.54 0.82 -2.78
H -4.87 -0.64 0.12
H -4.07 -0.94 1.69
H -4.68 -2.32 0.71
H -1.45 -1.80 1.94
H -0.49 -2.41 0.57
H -1.88 -3.36 1.18
H -3.33 -2.22 -2.36
H -3.71 -3.43 -1.09
H -2.02 -3.27 -1.73
H 4.67 0.09 3.39
H 3.89 1.68 3.04
H 4.99 0.92 1.83
H 1.35 0.34 3.67
H 0.47 -0.22 2.23
H 1.08 1.44 2.29
H 3.89 -2.06 2.79
H 3.20 -2.42 1.17
H 2.12 -2.30 2.60
H 1.14 -3.35 -3.67
H 0.75 -1.59 -3.56
H -0.46 -2.81 -3.07
H 2.10 -4.72 -2.21
H 0.84 -4.94 -0.95
H 2.50 -4.47 -0.47
H 3.39 -2.57 -2.58
H 3.60 -2.06 -0.87
H 2.94 -0.92 -2.06
C 1.59 1.17 -1.58
C 2.76 1.98 -1.79
C 3.11 2.37 -3.06
C 2.29 2.01 -4.14
C 1.04 1.41 -3.92
C 0.61 1.09 -2.64
O 1.54 0.38 -0.55
H 2.86 0.10 0.50
H 3.41 2.14 -0.92
H 4.03 2.96 -3.22
H 2.60 2.24 -5.16
H 0.37 1.19 -4.76
H -0.36 0.54 -2.49
C -1.74 4.17 2.58
N -2.35 3.00 3.21
C -2.59 3.00 4.65
C -2.60 1.92 2.52
O -2.31 1.86 1.27
H -1.70 4.95 3.34
H -2.35 4.50 1.73
H -0.73 3.94 2.22
H -3.52 2.47 4.87
H -1.79 2.49 5.20
H -2.65 4.03 4.98
H -3.05 1.05 3.01

---

64
Properties=species:S:1:pos:R:3 method="wB97M-V/def2-TZVPD" homo_lumo_gap_ev=7.358 energy_ev=-35961.88204 lumo_energy_ev=-2.111 multiplicity=1 charge=+1 smiles="Cn1cc([C@@H](c2cc3c4c(c2)CCCN4CCC3)[N+]2=C3NCCN3CC2)c2ccccc21" e_homo_ev=-9.469
C -2.89 -0.04 -4.88
N -2.31 0.02 -3.53
C -0.97 -0.22 -3.26
C -0.73 -0.12 -1.85
C 0.54 -0.08 -1.19
C 0.59 0.62 0.14
C -0.17 1.77 0.53
C -0.04 2.38 1.80
C 0.89 1.81 2.73
N 0.91 2.23 4.04
C 0.18 3.38 4.51
C -1.13 3.61 3.75
C -0.91 3.53 2.24
C 1.91 1.76 4.97
C 2.34 0.31 4.69
C 2.76 0.16 3.24
C 1.76 0.77 2.30
C 1.71 0.32 0.96
C -2.07 0.14 -1.26
C -2.65 0.23 0.02
C -4.07 0.43 0.13
C -4.91 0.52 -1.00
C -4.37 0.42 -2.29
C -2.98 0.25 -2.36
H -3.98 -0.11 -4.89
H -2.57 0.82 -5.50
H -2.51 -0.96 -5.34
H -0.27 -0.19 -4.12
H 1.52 0.23 -1.87
H -0.86 2.22 -0.22
H 0.03 3.26 5.61
H 0.85 4.24 4.37
H -1.85 2.85 4.09
H -1.53 4.58 4.08
H -0.49 4.50 1.94
H -1.87 3.48 1.72
H 2.78 2.44 4.89
H 1.52 1.87 6.00
H 3.15 0.02 5.38
H 1.49 -0.34 4.93
H 3.73 0.64 3.06
H 2.88 -0.89 2.97
H 2.52 -0.27 0.52
H -2.02 0.29 0.90
H -4.49 0.55 1.14
H -5.99 0.53 -0.90
H -4.98 0.36 -3.16
C 1.08 -2.51 -0.23
C 1.59 -3.83 -0.82
N 1.87 -3.45 -2.16
C 2.24 -4.28 -3.29
C 2.23 -3.25 -4.43
N 1.73 -2.02 -3.80
C 1.44 -2.21 -2.46
N 0.93 -1.63 -1.36
H 0.13 -2.67 0.29
H 1.79 -2.10 0.51
H 2.54 -4.20 -0.41
H 0.89 -4.69 -0.73
H 3.26 -4.66 -3.15
H 1.52 -5.08 -3.46
H 3.23 -3.07 -4.87
H 1.57 -3.49 -5.27
H 1.52 -1.19 -4.38

---

11
........

Thermal escape is the standard method. Helium being the lightest thing around save hydrogen, it will tend to predominate at the highest levels of the earths atmosphere, the thermosphere. Some of the helium atoms will gain enough energy, either by collision, of through absorption of solar energy, to escape from earth altogether. If Cook made use of only the thermal escape mechanism, he would have underestimated the rate of helium escape, and derived an inconsistency between the relatively high rate of production, low rate of escape, and amount present, if one assumes an old earth.

However, it has been shown that helium ionizes and can then escape preferentially along the lines of the earth's magnetic field, where the field is concentrated near the poles. By adding up all of the known escape mechanisms and production mechanisms, it now appears that helium is in equilibrium in the earth's atmosphere. The present abundance is not a problem for the old earth.

Larry Vardiman made the same argument in I.C.R. Impact #143, May 1985. He mentions ionic escape, but assumes it is insufficient. But the papers I reference below came out some time later, and show that the ionic outflow mechanism is quite sufficient to solve the problem.


Helium Escape from the Terrestrial Atmosphere - The Ion Outflow Mechanism
O. Liesvendsen & M.H. Rees
Journal of Geophysical Research (Space Physics) v101(A2): pp2435-2443 (1996 Feb 1)

We have computed global He+ escape fluxes for a range and a variety of diurnal, seasonal, universal time, and solar activity geophysical conditions. We average over the short-term variables and compute the globally averaged escape flux for a range of cutoff latitudes, which separate regions of open and closed field lines, during one solar cycle. The global escape flux averaged over a solar cycle was computed, and we find that a cutoff latitude of about 60 degrees or lower is sufficient to balance the outgassing from the Earth's crust.

Helium Escape from the Earth's Atmosphere - The Charge-Exchange Mechanism Revisited
O. Liesvendsen, M.H. Rees & K. Stamnes

Planetary and Space Science v40(12): pp1639-1662 (1992 Dec)

We have studied the escape of neutral helium from the terrestrial atmosphere through exothermic charge exchange reactions between He+ ions and the major atmospheric constituents N2, O2 and 0. Elastic collisions with the neutral background particles were treated quantitatively using a recently developed kinetic theory approach. An interhemispheric plasma transport model was employed to provide a global distribution of He+ ions as a function of altitude, latitude and local solar time and for different levels of solar ionization. Combining these ion densities with neutral densities from an MSIS model and best estimates for the reaction rate coefficients of the charge exchange reactions, we computed the global distribution of the neutral He escape flux. The escape rates show large diurnal and latitudinal variations, while the global average does not vary by more than a factor of three over a solar cycle. We find that this escape mechanism is potentially important for the overall balance of helium in the Earth's atmosphere. However, more accurate values for the reaction rate coefficients of the charge exchange reactions are required to make a definitive assessment of its importance.
